Repeat everything further down exactly.

/*
A plane-wave DFT calculation with PBE-GGA was carried out for a geometry-optimized ZnAsW2 structure.

abc: 8.599 8.599 8.599
angles: 19.72 19.72 19.72
Positions (direct):
Zn1 0.000 0.000 0.000
As1 0.500 0.500 0.500
W1 0.246 0.246 0.246
W2 0.754 0.754 0.754

Output
DOS at the Fermi energy: 3.1 states/eV per cell

---

A plane-wave DFT calculation with PBE-GGA was carried out for a geometry-optimized Zn4AsW structure.

abc: 5.044 5.044 5.044
angles: 60.00 60.00 60.00
Positions (direct):
Zn1 0.376 0.376 0.376
Zn2 0.376 0.376 0.871
Zn3 0.376 0.871 0.376
Zn4 0.871 0.376 0.376
As1 0.000 0.000 0.000
W1 0.750 0.750 0.750

Output
DOS at the Fermi energy: 6.0 states/eV per cell

---

A plane-wave DFT calculation with PBE-GGA was carried out for a geometry-optimized Zn2AsW structure.

abc: 5.760 5.760 5.760
angles: 100.90 100.90 128.44
Positions (direct):
Zn1 0.115 0.625 0.990
Zn2 0.375 0.365 0.490
Zn3 0.635 0.125 0.010
Zn4 0.875 0.885 0.510
As1 0.000 0.000 0.000
As2 0.750 0.250 0.500
W1 0.250 0.750 0.500
W2 0.500 0.500 0.000

Output
DOS at the Fermi energy: 5.9 states/eV per cell

---

A plane-wave DFT calculation with PBE-GGA was carried out for a geometry-optimized Zn2AsW structure.

abc: 5.249 5.249 5.249
angles: 143.08 134.62 59.88
Positions (direct):
Zn1 0.245 0.245 0.000
Zn2 0.755 0.755 0.000
As1 0.000 0.500 0.500
W1 0.500 0.000 0.500

Output
DOS at the Fermi energy: 2.7 states/eV per cell

---

A plane-wave DFT calculation with PBE-GGA was carried out for a geometry-optimized Zn2AsW structure.

abc: 2.754 4.638 4.975
angles: 90.00 93.68 90.00
Positions (direct):
Zn1 0.000 0.000 0.000
Zn2 0.057 0.500 0.729
As1 0.639 0.000 0.477
W1 0.543 0.500 0.228

Output
DOS at the Fermi energy: 1.6 states/eV per cell

---

A plane-wave DFT calculation with PBE-GGA was carried out for a geometry-optimized ZnAsW2 structure.

abc: 4.747 4.747 4.606
angles: 96.33 96.33 38.19
Positions (direct):
Zn1 0.000 0.000 0.000
As1 0.500 0.500 0.500
W1 0.254 0.254 0.757
W2 0.746 0.746 0.243

Output
DOS at the Fermi energy: 2.1 states/eV per cell

---

A plane-wave DFT calculation with PBE-GGA was carried out for a geometry-optimized Zn2AsW structure.

abc: 2.836 2.836 8.872
angles: 90.00 90.00 106.19
Positions (direct):
Zn1 0.000 0.000 0.000
Zn2 0.500 0.500 0.233
As1 0.500 0.500 0.690
W1 0.000 0.000 0.471

Output
DOS at the Fermi energy: 1.9 states/eV per cell

---

A plane-wave DFT calculation with PBE-GGA was carried out for a geometry-optimized ZnAsW2 structure.

abc: 3.279 3.279 5.833
angles: 90.00 90.00 90.00
Positions (direct):
Zn1 0.000 0.000 0.000
As1 0.500 0.500 0.261
W1 0.000 0.000 0.510
W2 0.500 0.500 0.759

Output
DOS at the Fermi energy: 2.0 states/eV per cell

---

A plane-wave DFT calculation with PBE-GGA was carried out for a geometry-optimized ZnAsW2 structure.

abc: 5.146 5.146 5.146
angles: 144.15 126.61 65.99
Positions (direct):
Zn1 0.000 0.000 0.000
As1 0.500 0.500 0.000
W1 0.265 0.765 0.500
W2 0.735 0.235 0.500

Output
DOS at the Fermi energy: 2.7 states/eV per cell

---

A plane-wave DFT calculation with PBE-GGA was carried out for a geometry-optimized ZnAsW structure.

abc: 13.011 3.006 3.006
angles: 60.77 90.00 90.00
Positions (direct):
Zn1 0.161 0.000 0.000
Zn2 0.839 0.000 0.000
As1 0.354 0.003 0.003
As2 0.646 0.003 0.003
W1 0.000 0.664 0.664
W2 0.500 0.666 0.666

Output
DOS at the Fermi energy: 1.9 states/eV per cell

---

A plane-wave DFT calculation with PBE-GGA was carried out for a geometry-optimized Zn2AsW structure.

abc: 4.894 4.894 4.935
angles: 95.09 95.09 32.57
Positions (direct):
Zn1 0.000 0.000 0.000
Zn2 0.250 0.250 0.794
As1 0.473 0.473 0.477
W1 0.731 0.731 0.283

Output
DOS at the Fermi energy: 1.6 states/eV per cell

---

A plane-wave DFT calculation with PBE-GGA was carried out for a geometry-optimized ZnAsW2 structure.

abc: 2.912 4.542 5.099
angles: 90.00 106.56 90.00
Positions (direct):
Zn1 0.000 0.000 0.000
As1 0.621 0.500 0.247
W1 0.346 0.500 0.703
W2 0.740 0.000 0.476

Output
*/

A plane-wave DFT calculation with PBE-GGA was carried out for a geometry-optimized ZnAsW2 structure.

abc: 8.599 8.599 8.599
angles: 19.72 19.72 19.72
Positions (direct):
Zn1 0.000 0.000 0.000
As1 0.500 0.500 0.500
W1 0.246 0.246 0.246
W2 0.754 0.754 0.754

Output
DOS at the Fermi energy: 3.1 states/eV per cell

---

A plane-wave DFT calculation with PBE-GGA was carried out for a geometry-optimized Zn4AsW structure.

abc: 5.044 5.044 5.044
angles: 60.00 60.00 60.00
Positions (direct):
Zn1 0.376 0.376 0.376
Zn2 0.376 0.376 0.871
Zn3 0.376 0.871 0.376
Zn4 0.871 0.376 0.376
As1 0.000 0.000 0.000
W1 0.750 0.750 0.750

Output
DOS at the Fermi energy: 6.0 states/eV per cell

---

A plane-wave DFT calculation with PBE-GGA was carried out for a geometry-optimized Zn2AsW structure.

abc: 5.760 5.760 5.760
angles: 100.90 100.90 128.44
Positions (direct):
Zn1 0.115 0.625 0.990
Zn2 0.375 0.365 0.490
Zn3 0.635 0.125 0.010
Zn4 0.875 0.885 0.510
As1 0.000 0.000 0.000
As2 0.750 0.250 0.500
W1 0.250 0.750 0.500
W2 0.500 0.500 0.000

Output
DOS at the Fermi energy: 5.9 states/eV per cell

---

A plane-wave DFT calculation with PBE-GGA was carried out for a geometry-optimized Zn2AsW structure.

abc: 5.249 5.249 5.249
angles: 143.08 134.62 59.88
Positions (direct):
Zn1 0.245 0.245 0.000
Zn2 0.755 0.755 0.000
As1 0.000 0.500 0.500
W1 0.500 0.000 0.500

Output
DOS at the Fermi energy: 2.7 states/eV per cell

---

A plane-wave DFT calculation with PBE-GGA was carried out for a geometry-optimized Zn2AsW structure.

abc: 2.754 4.638 4.975
angles: 90.00 93.68 90.00
Positions (direct):
Zn1 0.000 0.000 0.000
Zn2 0.057 0.500 0.729
As1 0.639 0.000 0.477
W1 0.543 0.500 0.228

Output
DOS at the Fermi energy: 1.6 states/eV per cell

---

A plane-wave DFT calculation with PBE-GGA was carried out for a geometry-optimized ZnAsW2 structure.

abc: 4.747 4.747 4.606
angles: 96.33 96.33 38.19
Positions (direct):
Zn1 0.000 0.000 0.000
As1 0.500 0.500 0.500
W1 0.254 0.254 0.757
W2 0.746 0.746 0.243

Output
DOS at the Fermi energy: 2.1 states/eV per cell

---

A plane-wave DFT calculation with PBE-GGA was carried out for a geometry-optimized Zn2AsW structure.

abc: 2.836 2.836 8.872
angles: 90.00 90.00 106.19
Positions (direct):
Zn1 0.000 0.000 0.000
Zn2 0.500 0.500 0.233
As1 0.500 0.500 0.690
W1 0.000 0.000 0.471

Output
DOS at the Fermi energy: 1.9 states/eV per cell

---

A plane-wave DFT calculation with PBE-GGA was carried out for a geometry-optimized ZnAsW2 structure.

abc: 3.279 3.279 5.833
angles: 90.00 90.00 90.00
Positions (direct):
Zn1 0.000 0.000 0.000
As1 0.500 0.500 0.261
W1 0.000 0.000 0.510
W2 0.500 0.500 0.759

Output
DOS at the Fermi energy: 2.0 states/eV per cell

---

A plane-wave DFT calculation with PBE-GGA was carried out for a geometry-optimized ZnAsW2 structure.

abc: 5.146 5.146 5.146
angles: 144.15 126.61 65.99
Positions (direct):
Zn1 0.000 0.000 0.000
As1 0.500 0.500 0.000
W1 0.265 0.765 0.500
W2 0.735 0.235 0.500

Output
DOS at the Fermi energy: 2.7 states/eV per cell

---

A plane-wave DFT calculation with PBE-GGA was carried out for a geometry-optimized ZnAsW structure.

abc: 13.011 3.006 3.006
angles: 60.77 90.00 90.00
Positions (direct):
Zn1 0.161 0.000 0.000
Zn2 0.839 0.000 0.000
As1 0.354 0.003 0.003
As2 0.646 0.003 0.003
W1 0.000 0.664 0.664
W2 0.500 0.666 0.666

Output
DOS at the Fermi energy: 1.9 states/eV per cell

---

A plane-wave DFT calculation with PBE-GGA was carried out for a geometry-optimized Zn2AsW structure.

abc: 4.894 4.894 4.935
angles: 95.09 95.09 32.57
Positions (direct):
Zn1 0.000 0.000 0.000
Zn2 0.250 0.250 0.794
As1 0.473 0.473 0.477
W1 0.731 0.731 0.283

Output
DOS at the Fermi energy: 1.6 states/eV per cell

---

A plane-wave DFT calculation with PBE-GGA was carried out for a geometry-optimized ZnAsW2 structure.

abc: 2.912 4.542 5.099
angles: 90.00 106.56 90.00
Positions (direct):
Zn1 0.000 0.000 0.000
As1 0.621 0.500 0.247
W1 0.346 0.500 0.703
W2 0.740 0.000 0.476

Output